Exercise.
Return the material underneath with every line break kept.
File.
No. 1
The following is a DFT calculation (ωB97M-V with the def2-TZVPD basis set) of 2 unconnected molecules or ions with the total composition C4H6N2O at a distorted geometry.

* E_HOMO: -9.99 eV
* ΔE to the lowest compared entry with this formula, charge and spin: 46.9 kcal/mol
* structure (SMILES): c1cnccn1.O

Structure (ORCA input):
```
! wB97M-V def2-TZVPD RIJCOSX def2/J DEFGRID3
* xyz 0 1
C 0.67 -2.12 0.63
C -0.58 -1.52 1.01
N -0.96 -0.28 0.55
C -0.10 0.29 -0.28
C 1.12 -0.21 -0.60
N 1.53 -1.43 -0.16
H 1.07 -2.96 1.21
H -1.26 -1.92 1.78
H -0.44 1.26 -0.65
H 1.87 0.21 -1.28
O -0.94 3.24 -0.55
H -0.30 2.50 -0.53
H -1.68 2.92 -1.11
*
```

Calculated atomic charges, method Löwdin, unit e: atom 1 (C): -0.11, atom 2 (C): -0.09, atom 3 (N): 0.08, atom 4 (C): -0.17, atom 5 (C): -0.12, atom 6 (N): 0.06, atom 7 (H): 0.10, atom 8 (H): 0.10, atom 9 (H): 0.06, atom 10 (H): 0.12, atom 11 (O): -0.09, atom 12 (H): -0.01, atom 13 (H): 0.06

***

No. 2
The following is a DFT calculation (ωB97M-V with the def2-TZVPD basis set) of a molecular structure, C31H53F3INO16Si2 at a distorted geometry.

* E_HOMO: -8.26 eV

Structure (ORCA input):
```
! wB97M-V def2-TZVPD RIJCOSX def2/J DEFGRID3
* xyz 0 1
C 0.74 3.99 -0.63
C 0.67 2.68 -0.49
Si -0.87 1.72 -0.89
I -2.66 2.57 0.54
C -1.33 2.11 -2.66
C -0.14 2.34 -3.58
C -0.06 3.74 -4.15
O -1.35 4.28 -4.43
C -1.81 5.18 -3.56
C -1.01 6.38 -3.19
O -2.84 5.05 -3.13
O -0.47 0.12 -0.80
Si -1.27 -1.01 0.13
C -0.38 -2.62 -0.28
C 1.02 -2.36 -0.74
N 1.88 -1.82 0.33
C -0.94 -0.82 1.99
O -0.51 0.52 2.36
C -0.12 0.69 3.57
F -0.50 1.84 3.97
F 1.15 0.65 3.68
F -0.60 -0.17 4.41
C -3.08 -1.34 -0.28
C -3.49 -0.79 -1.62
C -4.08 -0.98 0.86
C -5.35 -0.29 0.42
H 1.39 4.44 -1.35
H 0.19 4.67 0.00
H 1.53 2.16 -0.12
H -2.07 2.87 -2.71
H -1.81 1.22 -3.00
H -0.23 1.68 -4.40
H 0.81 2.12 -3.14
H 0.54 4.35 -3.51
H 0.46 3.68 -5.07
H -1.24 6.59 -2.18
H 0.05 6.24 -3.24
H -1.32 7.21 -3.78
H -0.42 -3.31 0.54
H -0.91 -3.01 -1.13
H 1.04 -1.69 -1.57
H 1.43 -3.27 -1.11
H 2.78 -2.25 0.27
H 1.98 -0.84 0.16
H -1.80 -1.14 2.54
H -0.17 -1.50 2.27
H -3.19 -2.40 -0.38
H -2.75 -0.96 -2.38
H -3.62 0.27 -1.55
H -4.43 -1.17 -1.92
H -4.37 -1.89 1.34
H -3.63 -0.37 1.62
H -5.90 -0.05 1.30
H -5.17 0.62 -0.08
H -5.96 -0.96 -0.15
C 6.52 -4.13 3.07
C 6.57 -2.79 2.38
C 6.16 -1.62 3.25
O 5.63 -0.70 2.28
C 5.18 -1.42 1.23
O 4.51 -1.00 0.34
O 5.58 -2.71 1.32
H 5.51 -4.39 3.36
H 6.86 -4.91 2.38
H 7.16 -4.14 3.95
H 7.55 -2.63 1.93
H 7.00 -1.18 3.78
H 5.38 -1.88 3.97
C 5.91 -4.54 -4.70
C 4.65 -3.73 -4.56
C 4.24 -3.45 -3.13
O 2.81 -3.34 -3.24
C 2.43 -4.07 -4.32
O 1.30 -4.35 -4.57
O 3.51 -4.45 -5.05
Reply.
No. 1
The following is a DFT calculation (ωB97M-V with the def2-TZVPD basis set) of 2 unconnected molecules or ions with the total composition C4H6N2O at a distorted geometry.

* E_HOMO: -9.99 eV
* ΔE to the lowest compared entry with this formula, charge and spin: 46.9 kcal/mol
* structure (SMILES): c1cnccn1.O

Structure (ORCA input):
```
! wB97M-V def2-TZVPD RIJCOSX def2/J DEFGRID3
* xyz 0 1
C 0.67 -2.12 0.63
C -0.58 -1.52 1.01
N -0.96 -0.28 0.55
C -0.10 0.29 -0.28
C 1.12 -0.21 -0.60
N 1.53 -1.43 -0.16
H 1.07 -2.96 1.21
H -1.26 -1.92 1.78
H -0.44 1.26 -0.65
H 1.87 0.21 -1.28
O -0.94 3.24 -0.55
H -0.30 2.50 -0.53
H -1.68 2.92 -1.11
*
```

Calculated atomic charges, method Löwdin, unit e: atom 1 (C): -0.11, atom 2 (C): -0.09, atom 3 (N): 0.08, atom 4 (C): -0.17, atom 5 (C): -0.12, atom 6 (N): 0.06, atom 7 (H): 0.10, atom 8 (H): 0.10, atom 9 (H): 0.06, atom 10 (H): 0.12, atom 11 (O): -0.09, atom 12 (H): -0.01, atom 13 (H): 0.06

***

No. 2
The following is a DFT calculation (ωB97M-V with the def2-TZVPD basis set) of a molecular structure, C31H53F3INO16Si2 at a distorted geometry.

* E_HOMO: -8.26 eV

Structure (ORCA input):
```
! wB97M-V def2-TZVPD RIJCOSX def2/J DEFGRID3
* xyz 0 1
C 0.74 3.99 -0.63
C 0.67 2.68 -0.49
Si -0.87 1.72 -0.89
I -2.66 2.57 0.54
C -1.33 2.11 -2.66
C -0.14 2.34 -3.58
C -0.06 3.74 -4.15
O -1.35 4.28 -4.43
C -1.81 5.18 -3.56
C -1.01 6.38 -3.19
O -2.84 5.05 -3.13
O -0.47 0.12 -0.80
Si -1.27 -1.01 0.13
C -0.38 -2.62 -0.28
C 1.02 -2.36 -0.74
N 1.88 -1.82 0.33
C -0.94 -0.82 1.99
O -0.51 0.52 2.36
C -0.12 0.69 3.57
F -0.50 1.84 3.97
F 1.15 0.65 3.68
F -0.60 -0.17 4.41
C -3.08 -1.34 -0.28
C -3.49 -0.79 -1.62
C -4.08 -0.98 0.86
C -5.35 -0.29 0.42
H 1.39 4.44 -1.35
H 0.19 4.67 0.00
H 1.53 2.16 -0.12
H -2.07 2.87 -2.71
H -1.81 1.22 -3.00
H -0.23 1.68 -4.40
H 0.81 2.12 -3.14
H 0.54 4.35 -3.51
H 0.46 3.68 -5.07
H -1.24 6.59 -2.18
H 0.05 6.24 -3.24
H -1.32 7.21 -3.78
H -0.42 -3.31 0.54
H -0.91 -3.01 -1.13
H 1.04 -1.69 -1.57
H 1.43 -3.27 -1.11
H 2.78 -2.25 0.27
H 1.98 -0.84 0.16
H -1.80 -1.14 2.54
H -0.17 -1.50 2.27
H -3.19 -2.40 -0.38
H -2.75 -0.96 -2.38
H -3.62 0.27 -1.55
H -4.43 -1.17 -1.92
H -4.37 -1.89 1.34
H -3.63 -0.37 1.62
H -5.90 -0.05 1.30
H -5.17 0.62 -0.08
H -5.96 -0.96 -0.15
C 6.52 -4.13 3.07
C 6.57 -2.79 2.38
C 6.16 -1.62 3.25
O 5.63 -0.70 2.28
C 5.18 -1.42 1.23
O 4.51 -1.00 0.34
O 5.58 -2.71 1.32
H 5.51 -4.39 3.36
H 6.86 -4.91 2.38
H 7.16 -4.14 3.95
H 7.55 -2.63 1.93
H 7.00 -1.18 3.78
H 5.38 -1.88 3.97
C 5.91 -4.54 -4.70
C 4.65 -3.73 -4.56
C 4.24 -3.45 -3.13
O 2.81 -3.34 -3.24
C 2.43 -4.07 -4.32
O 1.30 -4.35 -4.57
O 3.51 -4.45 -5.05